== What to do ==
Your job: duplicate all of the listing below unchanged.

== Contents ==
- - -
14
Lattice="3.803 0.000 0.000 -1.901 6.316 0.000 0.000 0.000 13.593" Properties=species:S:1:pos:R:3 comment="Th4AgC2 | Alexandria | GGA-PBE | optimized geometry" n_ef_per_ev_cell=13.96 formation_energy_ev_per_atom=-0.1943 m_tot_mub_per_fu=0.00 pbc="T T T"
Th 1.901 3.397 1.428
Th 1.901 3.397 5.368
Th 0.000 2.919 12.164
Th 0.000 2.919 8.225
Th 1.901 5.289 10.195
Th 0.000 1.027 3.398
Th 1.901 0.000 0.000
Th 1.901 0.000 6.796
Ag 1.901 1.356 10.195
Ag 0.000 4.960 3.398
C 0.000 1.741 5.947
C 1.901 4.575 12.744
C 0.000 1.741 0.849
C 1.901 4.575 7.646

8
Lattice="-1.009 -2.796 -2.255 3.977 2.210 -4.520 4.386 -5.254 4.553" Properties=species:S:1:pos:R:3 comment="Th2AgC | Alexandria | GGA-PBE | optimized geometry" n_ef_per_ev_cell=7.08 formation_energy_ev_per_atom=-0.1723 m_tot_mub_per_fu=0.00 polymorph_energy_mev_per_atom=14 pbc="T T T"
Th 3.335 -4.913 3.057
Th 4.019 -0.926 -5.280
Th 2.405 -0.551 -1.936
Th 4.949 -5.289 -0.286
Ag 4.159 -3.173 -2.555
Ag 3.195 -2.666 0.333
C 4.531 -6.798 1.772
C 2.822 0.958 -3.994

12
Lattice="-3.836 -0.509 3.351 2.819 -6.381 2.259 2.239 3.468 7.003" Properties=species:S:1:pos:R:3 comment="Th3Ag2C | Alexandria | GGA-PBE | optimized geometry" n_ef_per_ev_cell=10.73 formation_energy_ev_per_atom=-0.1991 m_tot_mub_per_fu=0.00 pbc="T T T"
Th -1.214 -1.849 2.240
Th 2.435 -1.572 10.372
Th 1.261 2.595 5.757
Th -1.449 -2.826 5.726
Th 2.671 -0.595 6.886
Th -0.040 -6.016 6.855
Ag 0.753 -3.078 8.217
Ag -0.658 0.112 7.089
Ag 1.880 -3.534 5.523
Ag 0.469 -0.343 4.396
C 0.518 -1.826 12.047
C 0.704 -1.595 0.565

20
Lattice="-2.756 1.157 2.058 -3.380 -10.842 1.567 7.303 1.677 8.836" Properties=species:S:1:pos:R:3 comment="Th6AgC3 | Alexandria | GGA-PBE | optimized geometry" n_ef_per_ev_cell=17.73 formation_energy_ev_per_atom=-0.1479 m_tot_mub_per_fu=0.00 pbc="T T T"
Th 0.812 -3.846 8.047
Th 0.355 -4.162 4.414
Th -4.460 -8.965 3.865
Th 5.627 0.956 8.596
Th -2.960 -3.148 2.604
Th 4.128 -4.860 9.857
Th -2.624 -6.140 4.736
Th 3.791 -1.869 7.725
Th 0.711 -0.796 6.197
Th 0.456 -7.212 6.264
Th 0.941 -6.714 9.832
Th 0.226 -1.294 2.629
Ag 2.532 1.536 7.325
Ag -1.365 -9.545 5.136
C 2.648 -2.698 9.860
C -1.481 -5.311 2.601
C -0.957 -5.125 6.398
C 2.124 -2.883 6.063
C -2.094 -0.475 2.262
C 3.261 -7.533 10.199

4
Lattice="3.705 -0.008 -0.005 -1.859 3.224 0.001 -1.849 -1.081 7.909" Properties=species:S:1:pos:R:3 comment="Th2AgC | Alexandria | GGA-PBE | optimized geometry" n_ef_per_ev_cell=3.98 formation_energy_ev_per_atom=-0.1663 m_tot_mub_per_fu=0.00 polymorph_energy_mev_per_atom=20 pbc="T T T"
Th 0.002 -0.011 6.459
Th -0.004 2.146 1.446
Ag -1.854 1.072 3.955
C -0.002 2.135 7.904

7
Lattice="5.089 0.000 0.000 0.000 5.089 0.000 -2.544 -2.544 7.414" Properties=species:S:1:pos:R:3 comment="Th4Ag2C | Alexandria | GGA-PBE | optimized geometry" n_ef_per_ev_cell=6.31 formation_energy_ev_per_atom=-0.0346 m_tot_mub_per_fu=0.00 pbc="T T T"
C 0.000 0.000 0.000
Ag 2.544 2.544 1.941
Ag 0.000 0.000 5.473
Th 2.544 2.544 4.902
Th 0.000 0.000 2.512
Th 0.000 2.544 0.000
Th 2.544 0.000 0.000

----------

VASP calculation (PBE-GGA) on a geometry-optimized InSiAu2 structure.

abc: 7.644 7.644 7.644
angles: 27.35 27.35 27.35
Atoms (fractional coordinates):
Au1 0.009 0.009 0.009
Au2 0.254 0.254 0.254
In1 0.500 0.500 0.500
Si1 0.737 0.737 0.737

Properties
- Electronic total energy: -3.62 eV per atom
- Raw formation energy: 0.0563 eV per atom
- Density of states at the Fermi level: 0.34 states/eV per atom
- Spin magnetization: 0.000 μB/atom



VASP calculation (PBE-GGA) on a geometry-optimized TaAgSb structure.

abc: 4.814 4.814 2.928
angles: 90.00 90.00 120.00
Atoms (fractional coordinates):
Sb1 0.333 0.667 0.167
Ag1 0.000 0.000 0.166
Ta1 0.667 0.333 0.667

Properties
- Electronic total energy: -5.79 eV per atom
- Raw formation energy: 0.4872 eV per atom
- Density of states at the Fermi level: 1.13 states/eV per atom
- Spin magnetization: 0.001 μB/atom
- Energy above the lowest structure with this stoichiometry: 170 meV per atom

----------

1.
{
- - -

== Worked solution ==
14
Lattice="3.803 0.000 0.000 -1.901 6.316 0.000 0.000 0.000 13.593" Properties=species:S:1:pos:R:3 comment="Th4AgC2 | Alexandria | GGA-PBE | optimized geometry" n_ef_per_ev_cell=13.96 formation_energy_ev_per_atom=-0.1943 m_tot_mub_per_fu=0.00 pbc="T T T"
Th 1.901 3.397 1.428
Th 1.901 3.397 5.368
Th 0.000 2.919 12.164
Th 0.000 2.919 8.225
Th 1.901 5.289 10.195
Th 0.000 1.027 3.398
Th 1.901 0.000 0.000
Th 1.901 0.000 6.796
Ag 1.901 1.356 10.195
Ag 0.000 4.960 3.398
C 0.000 1.741 5.947
C 1.901 4.575 12.744
C 0.000 1.741 0.849
C 1.901 4.575 7.646

8
Lattice="-1.009 -2.796 -2.255 3.977 2.210 -4.520 4.386 -5.254 4.553" Properties=species:S:1:pos:R:3 comment="Th2AgC | Alexandria | GGA-PBE | optimized geometry" n_ef_per_ev_cell=7.08 formation_energy_ev_per_atom=-0.1723 m_tot_mub_per_fu=0.00 polymorph_energy_mev_per_atom=14 pbc="T T T"
Th 3.335 -4.913 3.057
Th 4.019 -0.926 -5.280
Th 2.405 -0.551 -1.936
Th 4.949 -5.289 -0.286
Ag 4.159 -3.173 -2.555
Ag 3.195 -2.666 0.333
C 4.531 -6.798 1.772
C 2.822 0.958 -3.994

12
Lattice="-3.836 -0.509 3.351 2.819 -6.381 2.259 2.239 3.468 7.003" Properties=species:S:1:pos:R:3 comment="Th3Ag2C | Alexandria | GGA-PBE | optimized geometry" n_ef_per_ev_cell=10.73 formation_energy_ev_per_atom=-0.1991 m_tot_mub_per_fu=0.00 pbc="T T T"
Th -1.214 -1.849 2.240
Th 2.435 -1.572 10.372
Th 1.261 2.595 5.757
Th -1.449 -2.826 5.726
Th 2.671 -0.595 6.886
Th -0.040 -6.016 6.855
Ag 0.753 -3.078 8.217
Ag -0.658 0.112 7.089
Ag 1.880 -3.534 5.523
Ag 0.469 -0.343 4.396
C 0.518 -1.826 12.047
C 0.704 -1.595 0.565

20
Lattice="-2.756 1.157 2.058 -3.380 -10.842 1.567 7.303 1.677 8.836" Properties=species:S:1:pos:R:3 comment="Th6AgC3 | Alexandria | GGA-PBE | optimized geometry" n_ef_per_ev_cell=17.73 formation_energy_ev_per_atom=-0.1479 m_tot_mub_per_fu=0.00 pbc="T T T"
Th 0.812 -3.846 8.047
Th 0.355 -4.162 4.414
Th -4.460 -8.965 3.865
Th 5.627 0.956 8.596
Th -2.960 -3.148 2.604
Th 4.128 -4.860 9.857
Th -2.624 -6.140 4.736
Th 3.791 -1.869 7.725
Th 0.711 -0.796 6.197
Th 0.456 -7.212 6.264
Th 0.941 -6.714 9.832
Th 0.226 -1.294 2.629
Ag 2.532 1.536 7.325
Ag -1.365 -9.545 5.136
C 2.648 -2.698 9.860
C -1.481 -5.311 2.601
C -0.957 -5.125 6.398
C 2.124 -2.883 6.063
C -2.094 -0.475 2.262
C 3.261 -7.533 10.199

4
Lattice="3.705 -0.008 -0.005 -1.859 3.224 0.001 -1.849 -1.081 7.909" Properties=species:S:1:pos:R:3 comment="Th2AgC | Alexandria | GGA-PBE | optimized geometry" n_ef_per_ev_cell=3.98 formation_energy_ev_per_atom=-0.1663 m_tot_mub_per_fu=0.00 polymorph_energy_mev_per_atom=20 pbc="T T T"
Th 0.002 -0.011 6.459
Th -0.004 2.146 1.446
Ag -1.854 1.072 3.955
C -0.002 2.135 7.904

7
Lattice="5.089 0.000 0.000 0.000 5.089 0.000 -2.544 -2.544 7.414" Properties=species:S:1:pos:R:3 comment="Th4Ag2C | Alexandria | GGA-PBE | optimized geometry" n_ef_per_ev_cell=6.31 formation_energy_ev_per_atom=-0.0346 m_tot_mub_per_fu=0.00 pbc="T T T"
C 0.000 0.000 0.000
Ag 2.544 2.544 1.941
Ag 0.000 0.000 5.473
Th 2.544 2.544 4.902
Th 0.000 0.000 2.512
Th 0.000 2.544 0.000
Th 2.544 0.000 0.000

----------

VASP calculation (PBE-GGA) on a geometry-optimized InSiAu2 structure.

abc: 7.644 7.644 7.644
angles: 27.35 27.35 27.35
Atoms (fractional coordinates):
Au1 0.009 0.009 0.009
Au2 0.254 0.254 0.254
In1 0.500 0.500 0.500
Si1 0.737 0.737 0.737

Properties
- Electronic total energy: -3.62 eV per atom
- Raw formation energy: 0.0563 eV per atom
- Density of states at the Fermi level: 0.34 states/eV per atom
- Spin magnetization: 0.000 μB/atom



VASP calculation (PBE-GGA) on a geometry-optimized TaAgSb structure.

abc: 4.814 4.814 2.928
angles: 90.00 90.00 120.00
Atoms (fractional coordinates):
Sb1 0.333 0.667 0.167
Ag1 0.000 0.000 0.166
Ta1 0.667 0.333 0.667

Properties
- Electronic total energy: -5.79 eV per atom
- Raw formation energy: 0.4872 eV per atom
- Density of states at the Fermi level: 1.13 states/eV per atom
- Spin magnetization: 0.001 μB/atom
- Energy above the lowest structure with this stoichiometry: 170 meV per atom

----------

1.
{